Never Forget
Never Forget
| 08 April 1991 (USA)
Never Forget Trailers

== Data records from another source follow ==
┌──
Density functional theory data (PBE) for an optimized crystal structure of PrSmTm2.

Calculated values
Total moment   0.0 Bohr magnetons per cell
Energy of formation from the pure elements   0.02 eV per atom

Cell: 9.2749 9.2406 9.2406 Å, 85.49 133.82 133.82°
With the nearest neighbours (Å) after each atom.
Positions (direct):
Tm  0.2474  0.5814  0.9166  4 Tm 3.53-3.68, 4 Sm 3.54-3.68, 4 Pr 3.56-3.65
Tm  0.2526  0.0834  0.4186  4 Tm 3.53-3.68, 4 Sm 3.54-3.68, 4 Pr 3.56-3.65
Tm  0.7474  0.9166  0.5814  4 Tm 3.53-3.68, 4 Sm 3.54-3.68, 4 Pr 3.56-3.65
Tm  0.7526  0.4186  0.0834  4 Tm 3.53-3.68, 4 Sm 3.54-3.68, 4 Pr 3.56-3.65
Pr  0.2500  0.4151  0.5849  8 Tm 3.56-3.65, 4 Sm 3.58-3.66
Pr  0.7500  0.5849  0.4151  8 Tm 3.56-3.65, 4 Sm 3.58-3.66
Sm  0.7500  0.0860  0.9140  8 Tm 3.54-3.68, 4 Pr 3.58-3.66
Sm  0.2500  0.9140  0.0860  8 Tm 3.54-3.68, 4 Pr 3.58-3.66

Density functional theory data (PBE) for an optimized crystal structure of KCo4Cl.

Calculated values
Energy relative to the elements, uncorrected   4.4 eV per formula unit
Total moment   7.9 Bohr magnetons per cell

Cell: 5.1467 5.1467 5.1467 Å, 60.00 60.00 60.00°
With the nearest neighbours (Å) after each atom.
Positions (direct):
Co  0.3738  0.3738  0.8786  6 Co 2.55-2.60
Co  0.8786  0.3738  0.3738  6 Co 2.55-2.60
Co  0.3738  0.3738  0.3738  6 Co 2.55-2.60
Co  0.3738  0.8786  0.3738  6 Co 2.55-2.60
Cl  0.0000  0.0000  0.0000  12 Co 3.01, 4 K 3.15
K  0.7500  0.7500  0.7500  12 Co 3.02, 4 Cl 3.15

Density functional theory data (PBE) for an optimized crystal structure of TmTe.

Calculated values
Energy relative to the elements, uncorrected   -2.4 eV per formula unit
Total moment   0.0 Bohr magnetons per cell

Cell: 4.1398 4.1398 7.6293 Å, 90.00 90.00 120.00°
With the nearest neighbours (Å) after each atom.
Positions (direct):
Tm  0.0000  0.0000  0.5000  6 Te 3.06
Tm  0.0000  0.0000  0.0000  6 Te 3.06
Te  0.6667  0.3333  0.7500  6 Tm 3.06
Te  0.3333  0.6667  0.2500  6 Tm 3.06

Density functional theory data (PBE) for an optimized crystal structure of SrLaTc2.

Calculated values
Total moment   0.0 Bohr magnetons per cell
Energy of formation from the pure elements   0.30 eV per atom

Cell: 3.3016 3.3016 9.3626 Å, 90.00 90.00 90.00°
With the nearest neighbours (Å) after each atom.
Positions (direct):
Tc  0.0000  0.0000  0.0699  4 Tc 2.59
Tc  0.5000  0.5000  0.1888  4 Tc 2.59
Sr  0.5000  0.5000  0.8181  4 Sr 3.30, 5 Tc 3.32-3.47
La  0.0000  0.0000  0.4231  5 Tc 3.20-3.31, 4 La 3.30

Density functional theory data (PBE) for an optimized crystal structure of K2ScP.

Calculated values
Total moment   0.0 Bohr magnetons per cell
Energy of formation from the pure elements   -0.11 eV per atom

Cell: 12.4386 12.4386 9.1396 Å, 47.12 47.12 90.00°
With the nearest neighbours (Å) after each atom.
Positions (direct):
K  0.2915  0.6250  0.2500  2 P 3.34
K  0.8750  0.7085  0.7500  2 P 3.34
K  0.3750  0.5415  0.7500  2 P 3.34
K  0.4585  0.1250  0.2500  2 P 3.34
Sc  0.0000  0.0000  0.0000  2 P 2.48
└──
Mel and Jane Mermelstein are a true-life California couple, thrown into the spotlight of judicial history in the 1980s. Mel is a Hungarian-born Jew, sole-survivor of his family's extermination at Auschwitz, and Jane, a Southern Baptist from Tennessee. Their four children are good kids, typical Americans, with just enough orneriness to irritate each other, but enough love and class to pull together when it counts.

Acensbart Excellent but underrated film
Voxitype Good films always raise compelling questions, whether the format is fiction or documentary fact.
AshUnow This is a small, humorous movie in some ways, but it has a huge heart. What a nice experience.
[Someone pasted materials data at this point]
<<<
A relaxed BaTe2Se crystal. Source: Alexandria via LeMat-Bulk, functional PBE-GGA.

## Properties
Symmetry: No. 122
Total DFT energy (no corrections): -3.49 eV/atom
Crystal system: tetragonal

a = 6.5393 Å, b = 6.5393 Å, c = 9.6992 Å
α = 70.30°, β = 70.30°, γ = 90.00°
Closest atoms and distances in Å follow each position.
Fractional positions:
1 Te 0.5295 0.1250 0.2500  2 Se 2.87
2 Te 0.8750 0.7795 0.7500  2 Se 2.87
3 Te 0.3750 0.4705 0.7500  2 Se 2.87
4 Te 0.2205 0.6250 0.2500  2 Se 2.87
5 Ba 0.7500 0.2500 0.5000  4 Te 3.51
6 Ba 0.0000 0.0000 0.0000  4 Te 3.51
7 Se 0.5000 0.5000 0.0000  4 Te 2.87
8 Se 0.2500 0.7500 0.5000  4 Te 2.87
>>>
[So much for the materials data]
Kimball Exactly the movie you think it is, but not the movie you want it to be.
(Calculated crystals that have nothing to do with the piece)
+++
No. 1
Computed, not measured: a relaxed Sm5Y7 crystal at the PBE-GGA level of DFT.

Properties
formation enthalpy at 0 K: 0.0 eV/f.u.
energy relative to the lowest polymorph listed for this composition: 0 meV per atom
total moment: 0.00 μB/cell
density of states at the Fermi level: 17.0 states/eV per cell

The structure in POSCAR format:
```
Sm5Y7
1.0
-1.7761 1.3444 2.8419
-7.5337 -5.8438 0.3500
2.7767 -8.6567 8.1244
Y Sm
7 5
direct
0.6384 0.9728 0.7504
0.9723 0.3050 0.7504
0.5000 0.5000 0.5000
0.0277 0.6950 0.2496
0.3335 0.3340 0.9990
0.3616 0.0272 0.2496
0.6665 0.6660 0.0010
0.6940 0.3618 0.2503
0.1664 0.1668 0.5004
0.0000 0.0000 0.0000
0.8336 0.8332 0.4996
0.3060 0.6382 0.7497
```

No. 2
Computed, not measured: a relaxed Dy3Y2Ho6 crystal at the PBE-GGA level of DFT.

Properties
formation enthalpy at 0 K: 1.6 eV/f.u.
energy relative to the lowest polymorph listed for this composition: 0 meV per atom
total moment: 0.00 μB/cell
density of states at the Fermi level: 28.2 states/eV per cell

The structure in POSCAR format:
```
Dy3Y2Ho6
1.0
-5.3339 -0.0009 -1.8577
-1.0847 -0.8873 -5.4715
-2.8947 -12.7820 -0.2686
Ho Dy Y
6 3 2
direct
0.8179 0.8179 0.5462
0.3643 0.3643 0.9071
0.9090 0.9090 0.2729
0.1821 0.1821 0.4538
0.0910 0.0910 0.7271
0.6357 0.6357 0.0929
0.7263 0.7263 0.8210
0.2737 0.2737 0.1790
0.0000 0.0000 0.0000
0.5453 0.5453 0.3640
0.4547 0.4547 0.6360
```

No. 3
Computed, not measured: a relaxed CeNdCuPb crystal at the PBE-GGA level of DFT.

Properties
formation enthalpy at 0 K: -0.8 eV/f.u.
total moment: 1.97 μB/cell
density of states at the Fermi level: 9.6 states/eV per cell

The structure in POSCAR format:
```
CeNdCuPb
1.0
5.3677 0.0000 0.0000
2.6838 4.6485 0.0000
2.6838 1.5495 4.3827
Ce Cu Nd Pb
1 1 1 1
direct
0.7500 0.7500 0.7500
0.5000 0.5000 0.5000
0.2500 0.2500 0.2500
0.0000 0.0000 0.0000
```

No. 4
Computed, not measured: a relaxed TbTmCd17 crystal at the PBE-GGA level of DFT.

Properties
formation enthalpy at 0 K: -1.7 eV/f.u.
total moment: 0.00 μB/cell
density of states at the Fermi level: 5.7 states/eV per cell

The structure in POSCAR format:
```
TbTmCd17
1.0
-5.4469 5.3618 -0.5061
-3.4602 -1.3337 6.7024
3.4637 5.4555 4.1127
Cd Tm Tb
17 1 1
direct
0.0924 0.0924 0.0924
0.6921 0.9996 0.3101
0.3101 0.6921 0.9996
0.9012 0.9012 0.9012
0.6624 0.6624 0.1184
0.0256 0.0256 0.4706
0.6624 0.1184 0.6624
0.3819 0.7696 0.3819
0.1184 0.6624 0.6624
0.6921 0.3101 0.9996
0.9996 0.6921 0.3101
0.0256 0.4706 0.0256
0.7696 0.3819 0.3819
0.9996 0.3101 0.6921
0.3819 0.3819 0.7696
0.4706 0.0256 0.0256
0.3101 0.9996 0.6921
0.3264 0.3264 0.3264
0.6781 0.6781 0.6781
```


VASP calculation (PBE) on Tl2InAg after structural relaxation.

Unit cell a=4.814 b=3.729 c=6.186 alpha=73.91 beta=90.00 gamma=90.00
Element x y z (fractional)
Tl: 0.000 0.957 0.961
Tl: 0.500 0.285 0.302
Ag: 0.000 0.703 0.479
In: 0.500 0.555 0.758
+++
kapelusznik18 True story of concentration camp survivor Mel Mermelstein excellently played by Leonard Nimoy-of Mister Spock fame-fighting the good fight against the holocaust revisionist IHR-Institute of Historical Review-who challenged Mel to either put up or shut up with his stories of his life as an inmate in a number of Nazi concentration camps like Auschwitz & Buchenwald in WWII. Told by the Jewish ADL and Simon Wiesenthal Center that he went for help to ignore the IHR's challenge and not give them any publicity by doing it Mel instead went full tilt on his own snapping at its $50,000.00 offer by it in proving that there were gas chambers and crematories at the camps he was incarcerated in, for being Jewish, as well as later getting another $40,000.00 in damages for the pain and suffering that the IHR caused him and his family!Mermelstein first caught the eye of the IHR by going around telling school children as well as their parents of the horrors that he suffered at the hands of the Nazis in WWII losing his entire family in what was called the Nazi "Final Solution to the Jewish Question" in Nazi occupied Europe. Trying to shut him up the IHR planned to call his bluff in making his plight or accusations public thinking that he's really full of it and unable to prove what he's saying only to have him win in court a libel action against It. And also by it having to pay out almost 100 grand to him, not to mention the court costs, he brought the holocaust revisionist and in many cases denial organization to the point of bankruptcy! It also had its wear-house in California fire bombed three times by outraged citizens that destroyed most of its anti-Holocaust as well as anti-Semitic material that it was, in many cases free of charge , handing out to the public.As big as a victory it was for Mel Mermelstein at the time it may well have turned out to be a "Pyrrhic Victory" for him in the long run. That by giving the IHR free and undeserved publicity that has now, some 30 years later, spawned scores of like wise holocaust revisionist sites on the internet that are still around-Like IHR-with us now and unfortunately still growing all over the net or cyberspace. This makes me feel that if Mermelstein listened to both the ADL & Simon Wiesenthal Center to just ignore the slings and arrows being thrown at him by the IHR it as well as it fellow websites would have died an lonely and ignominious death or never would have come into existence in the first place!
s_810 For a made for TV movie, it's not actually all that bad. Leonard Nimoy does a fine job and it's nice to see him step out of the Spock role every once in a while.Unfortunately it's takes a complex court case and turns into a simple good v evil morality play. It also unfairly portrays the villains as Nazis and anti-Semites, which they are not.Perhaps the most disturbing aspect of the movie is the celebration of the judge's decision to take 'judicial notice' of pivotal facts in favor of Leonard Nimoy's character as a great victory when in fact this single action has suppressed historian's ability to factually investigate and understand one of the major catastrophes of the twentieth century--the Holocaust.
NumptyB I watched this drama on television and was numb afterwards. You hear of flat-Earthers and 'lunar landings were fake' conspiracy theorists and just say to yourself "well - they pays their money... that's their beliefs and they're entitled to them..." Then 'Never Forget' shows you, through drama, the lengths the stuck minds and morally blind will go to to deafen themselves and others to the truth. We have our own paranoid denialists in Northern Ireland, who only see the wrong done them never the wrong they've done. They spout the kindred of the poison Mel Mermelstein had to put up with. A good portrait of a man driven by his convictions: Leonard Nimoy certainly deserves praise for telling Mel Mermelstein's story, let alone turning in a fine performance in the lead. Despite any dramatic licence taken I'd set this TV movie as course text for history at Ordinary Level: it is quite clearly still needed.
(Melinium) I thought this movie was great. Great acting (especially by Leonard Nimoy) and a great story based on the holocaust and the real people. Nimoy put in a great effort and it's not so surprising since he is a great actor and he's Jewish and this movie felt a great deal to him. If you get a chance to see it on TV or rent it on video, SEE IT. You won't regret it.